Friday, February 27, 2015

OPEX Being- Week of 2/16 - 2/20

Monday 2/16 - OPEX Being 
A. back squat 3, 3, 3; rest as needed
135-185-225-275-315-335-355-375-395 (+10# from 1/30)
B. Back Squat x 25 @ 275#(+5 reps)
C. Row 1min (SDLHP) 90% aero rest 1min x 4
52-52-53-55 reps/round
AD 1`min all out
AD 2min Z1
AD 1min all out
AD 2min Z1
AD 1min all out
AD 2 min Z1
4 rounds of
Ab Wheel x 12
HSPUs - 4-5-6-6
Strict Pull-ups x 6

Tuesday 2/17 - OPEX Being
18min amrap open pace
30 G2O 165# - PC+PP - 6-3-3-1's @ constant pace. Had to fix wt @ rep 20 & 27 - 5:42
100 bar facing burpees - step over - kept moving - 13:00 (7:18)
30 MU
Results: 30-100-13 in 18 min, 18 MU in 20 min, 35 MU in 29:05 as I cleaned up between reps.
*all MUs done as singles.

Wednesday 2/18 - OPEX Being 
A. deadlift TnG cluster 3. 3. 3; rest 10sec/rest 3mins x 3
for time
Row 1k (100 SDLHP @ - 45#BB)
25 DU
Row 750m (75 "...")
50 DU
Row 500m (50 "...")
75 DU
Row 250m (25 "...")
100 DU
Time: 14:07

Grip ended up being limiting factor on DL clusters. I can tell I haven't pushed my hook grip in a while. 

Subbed SDLHPs for rows on metcon. All SDLHP UB, DUs done in sets of 25-26

Ready for a rest day!!

Friday 2/20 - OPEX Being 

A. SC build to a max in 15mins

95x3, *115x3, 135x3, 165-185-205-225-240-255-265 @ 15:30 mark

*started clock before set


0-3:00 min

2 rounds
10 OHS 95/65#
10 CTB chin ups

3:00-6:00 min

2 rounds
12 OHS 95/65#
12 CTB chin ups

6:00-9:00 min

2 rounds
14 OHS 95/65#
14 CTB chin ups

Outcome: 10's + 12's + 14-14-14-9 (finished last 5 CTB PUs at 9:33-34)

if you continue to get the 2 rounds done in the 3min window increase the reps by 2 and continue

Monday, February 16, 2015

OPEX Being - Week of 2/9 - 2/14

Monday 2/9 - OPEX Being 
A. back squat 3, 2, 1; rest 3mins
8min amrap open pace
8 PS 95/65#
8 burpees
Rounds: 5+4.5PS in Rx'd time (8min) 6 rounds in 9:35
15 min Z1 AD

Wednesday 2/11 - OPEX Being 
A. clean and jerk build to a max
B. strict HSPU cluster 3. 3. 3; rest 20sec/rest 3mins x 3
for time
10 burpee MU*
5 wall walks
200 DU in unbroken 25’s only - Jump rope broke, had to use Robby's...DUs were very broken
5 wall walks
10 burpee MU*

Notes: today was a bad day...almost like it wasn't meant to happen...woke up with my right knee locking up a bit. Hadn't done that in quite a while. Tweaked my low back a little on the set of 205#. I guess I was too loose in the middle. All that crap factored in to my weak mind set of going overhead I ended up only hitting 225 over head...same weight I hit 20 times EMOM a couple weeks ago...which is embarrassing. Hit some singles up to 255 then missed 265. Had it high enough, just missed going forward. Jump rope broke in the middle of my WOD...had to borrow Robby's. Didn't even time it. DUs were severly broken. His rope was too short for me. 

Friday 2/13 - OPEX Being 
A. SC x 1/HSC x 1; rest 2mins x 5 build per set
B. wtd chin up 2-3 x 3; rest 2:30-3min
7mins amrap
15 SC 95
12 SC 115
9 SC 135
6 SC 155
3 SC 185 in 5:42
remainder of time amrap
SC 225 x 2*

_Calculated molecules that have nothing to do with the piece_
~~~
# 1
33
Properties=species:S:1:pos:R:3:mulliken_charge:R:1 method="wB97M-V/def2-TZVPD" s2=2.011 total_charge=+1 multiplicity=3 e_homo_ev="-10.09 / -14.01" max_force_ev_per_a=4.2 e_tot_ev=-13677.8074 lumo_ev="-3.36 / -5.33"
C 0.523 -0.260 -0.670 -0.085
C 0.378 0.453 0.616 1.905
C -1.157 0.080 0.915 0.708
C 1.381 -0.156 1.606 -1.667
C 0.503 1.980 0.442 -1.893
C -2.097 1.213 1.358 -1.300
C -1.223 -1.095 1.932 -1.653
C -2.185 0.048 -1.372 -1.022
C 2.709 -0.439 -1.570 -1.065
C 0.865 -1.764 -2.503 -1.008
N -1.379 -0.551 -0.444 -0.070
N 1.292 -0.730 -1.585 0.066
H 2.409 -0.143 1.310 0.406
H 1.296 -1.231 1.763 0.407
H 1.401 0.293 2.617 0.404
H -0.304 2.245 -0.222 0.433
H 1.446 2.239 0.068 0.451
H 0.334 2.502 1.338 0.444
H -3.060 0.724 0.967 0.357
H -1.882 2.113 0.774 0.358
H -2.031 1.337 2.454 0.379
H -2.226 -1.554 1.869 0.396
H -1.060 -0.726 2.879 0.480
H -0.387 -1.821 1.572 0.277
H -2.082 1.097 -1.442 0.385
H -3.233 -0.087 -1.071 0.434
H -2.133 -0.430 -2.348 0.311
H 3.191 -1.117 -0.792 0.333
H 3.025 -0.640 -2.553 0.442
H 2.859 0.566 -1.306 0.338
H -0.100 -2.112 -2.240 0.372
H 0.988 -1.668 -3.634 0.295
H 1.625 -2.642 -2.357 0.381

# 2
88
Properties=species:S:1:pos:R:3:mulliken_charge:R:1 method="wB97M-V/def2-TZVPD" total_charge=+1 e_homo_ev="-9.35 / -9.35" max_force_ev_per_a=4.5 e_tot_ev=-350929.9295 lumo_ev="-4.23 / -4.22"
Ir -0.824 0.359 -1.158 1.146
C -2.541 4.740 2.295 -1.878
C -1.728 4.204 3.467 1.207
C -0.933 5.344 4.112 -1.474
C -2.686 3.616 4.510 -1.712
N -0.787 3.080 3.097 0.587
C 0.232 2.748 3.977 -1.065
C 0.794 1.611 3.553 -0.584
N 0.119 1.196 2.410 1.146
B 0.445 0.058 1.454 -0.824
N -0.461 -1.178 1.767 0.905
C -0.460 -1.681 3.057 -1.053
C -1.240 -2.770 3.084 -0.578
N -1.739 -2.957 1.804 0.489
C -1.246 -1.970 1.016 0.180
S -1.552 -1.773 -0.692 -0.439
C -2.661 -4.120 1.557 1.195
C -1.891 -5.396 1.899 -1.529
C -3.161 -4.228 0.123 -2.228
C -3.872 -3.948 2.478 -1.544
N 1.918 -0.338 1.263 0.644
C 2.938 -0.371 2.198 -0.895
C 4.109 -0.334 1.541 -0.617
N 3.828 -0.287 0.184 0.591
C 2.487 -0.334 0.034 0.018
S 1.655 -0.648 -1.451 -0.112
C 4.862 -0.095 -0.896 1.060
C 6.237 -0.011 -0.241 -2.181
C 4.845 -1.297 -1.839 -1.497
C 4.557 1.215 -1.618 -1.094
C -0.818 2.147 2.113 0.087
S -1.830 2.134 0.736 -0.392
H -3.227 5.486 2.697 0.573
H -3.131 3.966 1.818 0.512
H -1.921 5.227 1.538 0.192
H -1.516 6.258 4.013 0.436
H 0.014 5.536 3.612 0.148
H -0.753 5.166 5.171 0.422
H -3.332 4.405 4.895 0.501
H -2.140 3.179 5.347 0.375
H -3.317 2.846 4.062 0.327
H 0.504 3.383 4.798 0.546
H 1.596 1.058 3.999 0.537
H 0.198 0.547 0.371 -1.098
H 0.085 -1.199 3.851 0.603
H -1.494 -3.418 3.901 0.583
H -0.997 -5.486 1.280 0.366
H -2.528 -6.258 1.709 0.451
H -1.588 -5.427 2.946 0.389
H -2.350 -4.377 -0.588 0.436
H -3.761 -3.372 -0.173 0.436
H -3.799 -5.110 0.074 0.575
H -3.596 -3.980 3.531 0.390
H -4.577 -4.757 2.292 0.446
H -4.375 -3.000 2.282 0.381
H 2.757 -0.474 3.251 0.649
H 5.108 -0.346 1.931 0.553
H 6.494 -0.933 0.282 0.462
H 6.309 0.835 0.443 0.485
H 6.973 0.140 -1.029 0.469
~~~

Wednesday, February 11, 2015

OPEX Being - Week of 2/2 - 2/6

Monday 2/2 - OPEX Being 

A. Back squat @30X0; 3, 2, 1, 3, 2, 1; rest 3mins second 3, 2, 1 more than the first

(135-185-225-275-315-345) 365-385-405, 375-395-415

B. emom – hang PC TnG x 5 155# - 8mins



5 RFT of:

5 DL - 275#

10 Burpees

Time: 3:01
(2:59 on 7/19)

Notes: had to leave after squats again...getting a bit old. Also tweaked my right mid back during the 365. I had a lack of focus and became slack through the middle. Refocused and hit my weights, but it is pretty sore/tight.

Finished HPC on the minute in the cold garage. Also opted for s shorter retest WOD since I had kids in the house. I would have had to sub quite a bit anyway. 

Wednesday 2/4 - OPEX Being 

A. push press x 1/jerk dip x 1/paused jerk x 2; rest 2 mins x 5 (2sec pause at bottom of dip for the paused jerks)



3 rounds for time
10 HSPU (10)-(5+2+2+1)-(2+1+1+1+1+1+1+1+1)
10 T2B (UB-UB-UB)

Time: 4:30 Had watch mess-up and HSPUs buried me. Had to do singles on last set.

rest 5mins

3 rounds for time
10 thrusters 95/65#

Time: 3:20* - had a safety pin come out of the rack b/t my last set of thrusters and Burpees. Had to mess with it and unpack weight before doing Burpees. Might have been closer to 3 min mark.

rest 5mins

5mins amrap
1 DL 275#
1 MU (bar)
increase by rep every round

4 rounds + 5DL + 4MU + 1MU AT (5:25
15mins Z1 AD (only had time for 8 min)

Friday 2/6 - OPEX Being 

A. back squat 65% of 1rm @20X0; 2-3; rest 45sec x 10

B. 3mins max HS walk
1min max bar MU - 8-6-7
1min max box jump 24" - 15-15-15
1min max wall balls 20/14# 10′ target - 21-21-21
1min PS 95/65# -12-11-10
1min max cal row 12-12-16
rest 1min x 3
12 min Z1 your choice


Monday, February 2, 2015

OPEX Being - Week of 1/26 - 1/31

Monday 1/26 - Hotel WOD @ TanTara Resort, Osage Beach 

Lactate tester
10 Burpees
10 KBS -70#
10 Burpees
10 KBS - 70#
10 Burpees
10 KBS - 70#

Rest 12 min x 3

1. 2:24-25ish
2. 2:24
3. 2:34

Tuesday 1/27 - Hotel WO (Deload Day)
Goblet Squat - 70#
KB Rows - Right Arm - 70#
KB Rows - Left Arm - 70#
SL DL Right - 70#
SL DL Left - 70#
Walk-out to Push-up
100 Hollow Rocks (35-35-30)

Wednesday 1/28 - OPEX Being 

A. strict press build to a tough single in 10mins


*came up on toes in the middle

B1. amrap MU; rest 30sec - (5-4-2)
B2. amrap strict HSPU; rest 30sec - (11-8-7)
B3. amrap TTB; rest 3mins x 3 - (25-20-15)
C. 30 TGU alt hands per rep you pick weight pick something you can move smoothly with - 45#


PM in Garage - EMOM for 10 min 

Odd - 10 KB Snatch - Right arm (60#)

Even - 10 KB Snatch - Left arm (60#)

Friday 1/30 - OPEX Being 
A. back squat build to a tough triple in 10mins
135-185-225-275-315-345-365-385 + 20 reps @ 275#
B. PS 2, 2, 2, 2; rest 2mins
C. hang snatch build to a tough single in 12mins
D. EMOM for 5 min of 2 Paused Hang Snatch from Knee - 135#
E. EMOM for 5 min of 1 HS from Knees + 1 Snatch - 135#
20min cap
75 PS - 75# - 5:05 (never really pushed it)
60 bar facing Burpees - just kept moving. Step over, no hop over - 10:17
35 CTB chin ups - subbed ring PUs - 13:05ish
60 walk lunges - 16:30ish
75 KBS - 40# - 19:39-40
remainder of time amrap NPUBJ on small box - 3 reps

Notes: Squat felt good...a bit rushed, but good. I had to go do sub plans after Back Squat. Finished in Garage about an hour and a half later...cold...alone...not very motivated by that point...but still did work I guess. I did have to sub some things in the Chipper. 

Saturday 1/31 - Self Programmed

A1. Close-grip BP - 3-3-3-3-3; rest 1 min


A2. Rope Climb x 2; rest 3 min x 5



The "Chief"

5 sets of 3 min AMRAP; 1 min rest 

3 PC - 135#

6 Push-ups

9 Body Squats

Rounds/set: 5-5-5-5-6

Notes: +1 on every round compared to 10/31/15. Gamed it... I ended each round at the 2:3o-ish mark in order to maintain pacing. Was going for increased work output and it worked.